Please type out the whole of the block underneath without altering anything.

********
# 1
{
  "formula": "TeAsO3",
  "functional": "PBE",
  "state": "relaxed",
  "lattice_angstrom": [[3.9700, 0.0000, 0.0000], [0.0000, 3.9700, 0.0000], [0.0000, 0.0000, 3.9700]],
  "species": ["Te", "As", "O", "O", "O"],
  "frac_coords": [[0.0000, 0.0000, 0.0000], [0.5000, 0.5000, 0.5000], [0.0000, 0.5000, 0.5000], [0.5000, 0.0000, 0.5000], [0.5000, 0.5000, 0.0000]],
  "volume_a3_per_atom": 12.51,
  "crystal_system": "cubic",
  "e_tot_ev_per_atom": -4.79,
  "m_tot_mub_per_fu": 0.000
}

=====

# 2
{
  "formula": "YTaGe2O8",
  "functional": "PBE",
  "state": "relaxed",
  "lattice_angstrom": [[-3.4229, 3.4229, 3.1347], [3.4229, -3.4229, 3.1347], [3.4229, 3.4229, -3.1347]],
  "species": ["Y", "Ta", "Ge", "Ge", "O", "O", "O", "O", "O", "O", "O", "O"],
  "frac_coords": [[0.0000, 0.0000, 0.0000], [0.7500, 0.2500, 0.5000], [0.2500, 0.7500, 0.5000], [0.5000, 0.5000, 0.0000], [0.0437, 0.3687, 0.3250], [0.0437, 0.7187, 0.6750], [0.1192, 0.3179, 0.8013], [0.2813, 0.9563, 0.3250], [0.5166, 0.3179, 0.1987], [0.6313, 0.9563, 0.6750], [0.6821, 0.4834, 0.8013], [0.6821, 0.8808, 0.1987]],
  "volume_a3_per_atom": 12.24,
  "crystal_system": "tetragonal",
  "e_tot_ev_per_atom": -7.96,
  "m_tot_mub_per_fu": 0.000
}

=====

# 3
{
  "formula": "CsPrS2",
  "functional": "PBE",
  "state": "relaxed",
  "lattice_angstrom": [[4.2825, 0.0000, 0.0000], [-2.1412, 3.7087, 0.0000], [0.0000, 0.0000, 16.1969]],
  "species": ["Cs", "Cs", "Pr", "Pr", "S", "S", "S", "S"],
  "frac_coords": [[0.3333, 0.6667, 0.2500], [0.6667, 0.3333, 0.7500], [0.0000, 0.0000, 0.0000], [0.0000, 0.0000, 0.5000], [0.3333, 0.6667, 0.5940], [0.3333, 0.6667, 0.9060], [0.6667, 0.3333, 0.0940], [0.6667, 0.3333, 0.4060]],
  "volume_a3_per_atom": 32.16,
  "e_above_lowest_polymorph_mev_per_atom": 0.0,
  "crystal_system": "hexagonal",
  "m_tot_mub_per_fu": 0.000
}

=====

# 4
{
  "formula": "Sc3TlH",
  "functional": "PBE",
  "state": "relaxed",
  "lattice_angstrom": [[0.0000, 6.0177, 6.0177], [6.0177, 0.0000, 6.0177], [6.0177, 6.0177, 0.0000]],
  "species": ["Sc", "Sc", "Sc", "Sc", "Sc", "Sc", "Sc", "Sc", "Sc", "Sc", "Sc", "Sc", "Tl", "Tl", "Tl", "Tl", "H", "H", "H", "H"],
  "frac_coords": [[0.0654, 0.0654, 0.6846], [0.0654, 0.6846, 0.0654], [0.0654, 0.6846, 0.6846], [0.3154, 0.3154, 0.9346], [0.3154, 0.9346, 0.3154], [0.3154, 0.9346, 0.9346], [0.6846, 0.0654, 0.0654], [0.6846, 0.0654, 0.6846], [0.6846, 0.6846, 0.0654], [0.9346, 0.3154, 0.3154], [0.9346, 0.3154, 0.9346], [0.9346, 0.9346, 0.3154], [0.0000, 0.5000, 0.5000], [0.5000, 0.0000, 0.5000], [0.5000, 0.5000, 0.0000], [0.5000, 0.5000, 0.5000], [0.0000, 0.0000, 0.0000], [0.0000, 0.0000, 0.5000], [0.0000, 0.5000, 0.0000], [0.5000, 0.0000, 0.0000]],
  "volume_a3_per_atom": 21.79,
  "e_above_lowest_polymorph_mev_per_atom": 400.9,
  "crystal_system": "cubic",
  "m_tot_mub_per_fu": 1.262
}

=====

# 5
{
  "formula": "Sc2InRu5W2",
  "functional": "PBE",
  "state": "relaxed",
  "lattice_angstrom": [[9.8778, 0.0000, 0.0000], [0.0000, 9.8778, 0.0000], [0.0000, 0.0000, 3.6142]],
  "species": ["Sc", "Sc", "Sc", "Sc", "In", "In", "Ru", "Ru", "Ru", "Ru", "Ru", "Ru", "Ru", "Ru", "Ru", "Ru", "W", "W", "W", "W"],
  "frac_coords": [[0.1724, 0.3276, 0.0000], [0.3276, 0.8276, 0.0000], [0.6724, 0.1724, 0.0000], [0.8276, 0.6724, 0.0000], [0.0000, 0.0000, 0.0000], [0.5000, 0.5000, 0.0000], [0.0000, 0.5000, 0.5000], [0.0696, 0.7921, 0.5000], [0.2079, 0.0696, 0.5000], [0.2921, 0.5696, 0.5000], [0.4304, 0.2921, 0.5000], [0.5000, 0.0000, 0.5000], [0.5696, 0.7079, 0.5000], [0.7079, 0.4304, 0.5000], [0.7921, 0.9304, 0.5000], [0.9304, 0.2079, 0.5000], [0.1263, 0.6263, 0.0000], [0.3737, 0.1263, 0.0000], [0.6263, 0.8737, 0.0000], [0.8737, 0.3737, 0.0000]],
  "volume_a3_per_atom": 17.63,
  "crystal_system": "tetragonal",
  "m_tot_mub_per_fu": 0.000,
  "ef_kj_per_mol_atoms": 2
}

=====

# 6
{
  "formula": "MgZr4Pd5",
  "functional": "PBE",
  "state": "relaxed",
  "lattice_angstrom": [[3.3078, 0.0000, 0.0000], [0.0000, 3.3078, 0.0000], [0.0000, 0.0000, 16.8489]],
********

# 1
{
  "formula": "TeAsO3",
  "functional": "PBE",
  "state": "relaxed",
  "lattice_angstrom": [[3.9700, 0.0000, 0.0000], [0.0000, 3.9700, 0.0000], [0.0000, 0.0000, 3.9700]],
  "species": ["Te", "As", "O", "O", "O"],
  "frac_coords": [[0.0000, 0.0000, 0.0000], [0.5000, 0.5000, 0.5000], [0.0000, 0.5000, 0.5000], [0.5000, 0.0000, 0.5000], [0.5000, 0.5000, 0.0000]],
  "volume_a3_per_atom": 12.51,
  "crystal_system": "cubic",
  "e_tot_ev_per_atom": -4.79,
  "m_tot_mub_per_fu": 0.000
}

=====

# 2
{
  "formula": "YTaGe2O8",
  "functional": "PBE",
  "state": "relaxed",
  "lattice_angstrom": [[-3.4229, 3.4229, 3.1347], [3.4229, -3.4229, 3.1347], [3.4229, 3.4229, -3.1347]],
  "species": ["Y", "Ta", "Ge", "Ge", "O", "O", "O", "O", "O", "O", "O", "O"],
  "frac_coords": [[0.0000, 0.0000, 0.0000], [0.7500, 0.2500, 0.5000], [0.2500, 0.7500, 0.5000], [0.5000, 0.5000, 0.0000], [0.0437, 0.3687, 0.3250], [0.0437, 0.7187, 0.6750], [0.1192, 0.3179, 0.8013], [0.2813, 0.9563, 0.3250], [0.5166, 0.3179, 0.1987], [0.6313, 0.9563, 0.6750], [0.6821, 0.4834, 0.8013], [0.6821, 0.8808, 0.1987]],
  "volume_a3_per_atom": 12.24,
  "crystal_system": "tetragonal",
  "e_tot_ev_per_atom": -7.96,
  "m_tot_mub_per_fu": 0.000
}

=====

# 3
{
  "formula": "CsPrS2",
  "functional": "PBE",
  "state": "relaxed",
  "lattice_angstrom": [[4.2825, 0.0000, 0.0000], [-2.1412, 3.7087, 0.0000], [0.0000, 0.0000, 16.1969]],
  "species": ["Cs", "Cs", "Pr", "Pr", "S", "S", "S", "S"],
  "frac_coords": [[0.3333, 0.6667, 0.2500], [0.6667, 0.3333, 0.7500], [0.0000, 0.0000, 0.0000], [0.0000, 0.0000, 0.5000], [0.3333, 0.6667, 0.5940], [0.3333, 0.6667, 0.9060], [0.6667, 0.3333, 0.0940], [0.6667, 0.3333, 0.4060]],
  "volume_a3_per_atom": 32.16,
  "e_above_lowest_polymorph_mev_per_atom": 0.0,
  "crystal_system": "hexagonal",
  "m_tot_mub_per_fu": 0.000
}

=====

# 4
{
  "formula": "Sc3TlH",
  "functional": "PBE",
  "state": "relaxed",
  "lattice_angstrom": [[0.0000, 6.0177, 6.0177], [6.0177, 0.0000, 6.0177], [6.0177, 6.0177, 0.0000]],
  "species": ["Sc", "Sc", "Sc", "Sc", "Sc", "Sc", "Sc", "Sc", "Sc", "Sc", "Sc", "Sc", "Tl", "Tl", "Tl", "Tl", "H", "H", "H", "H"],
  "frac_coords": [[0.0654, 0.0654, 0.6846], [0.0654, 0.6846, 0.0654], [0.0654, 0.6846, 0.6846], [0.3154, 0.3154, 0.9346], [0.3154, 0.9346, 0.3154], [0.3154, 0.9346, 0.9346], [0.6846, 0.0654, 0.0654], [0.6846, 0.0654, 0.6846], [0.6846, 0.6846, 0.0654], [0.9346, 0.3154, 0.3154], [0.9346, 0.3154, 0.9346], [0.9346, 0.9346, 0.3154], [0.0000, 0.5000, 0.5000], [0.5000, 0.0000, 0.5000], [0.5000, 0.5000, 0.0000], [0.5000, 0.5000, 0.5000], [0.0000, 0.0000, 0.0000], [0.0000, 0.0000, 0.5000], [0.0000, 0.5000, 0.0000], [0.5000, 0.0000, 0.0000]],
  "volume_a3_per_atom": 21.79,
  "e_above_lowest_polymorph_mev_per_atom": 400.9,
  "crystal_system": "cubic",
  "m_tot_mub_per_fu": 1.262
}

=====

# 5
{
  "formula": "Sc2InRu5W2",
  "functional": "PBE",
  "state": "relaxed",
  "lattice_angstrom": [[9.8778, 0.0000, 0.0000], [0.0000, 9.8778, 0.0000], [0.0000, 0.0000, 3.6142]],
  "species": ["Sc", "Sc", "Sc", "Sc", "In", "In", "Ru", "Ru", "Ru", "Ru", "Ru", "Ru", "Ru", "Ru", "Ru", "Ru", "W", "W", "W", "W"],
  "frac_coords": [[0.1724, 0.3276, 0.0000], [0.3276, 0.8276, 0.0000], [0.6724, 0.1724, 0.0000], [0.8276, 0.6724, 0.0000], [0.0000, 0.0000, 0.0000], [0.5000, 0.5000, 0.0000], [0.0000, 0.5000, 0.5000], [0.0696, 0.7921, 0.5000], [0.2079, 0.0696, 0.5000], [0.2921, 0.5696, 0.5000], [0.4304, 0.2921, 0.5000], [0.5000, 0.0000, 0.5000], [0.5696, 0.7079, 0.5000], [0.7079, 0.4304, 0.5000], [0.7921, 0.9304, 0.5000], [0.9304, 0.2079, 0.5000], [0.1263, 0.6263, 0.0000], [0.3737, 0.1263, 0.0000], [0.6263, 0.8737, 0.0000], [0.8737, 0.3737, 0.0000]],
  "volume_a3_per_atom": 17.63,
  "crystal_system": "tetragonal",
  "m_tot_mub_per_fu": 0.000,
  "ef_kj_per_mol_atoms": 2
}

=====

# 6
{
  "formula": "MgZr4Pd5",
  "functional": "PBE",
  "state": "relaxed",
  "lattice_angstrom": [[3.3078, 0.0000, 0.0000], [0.0000, 3.3078, 0.0000], [0.0000, 0.0000, 16.8489]],